I'm not trying to impress you with my vocabulary, but I read an interesting article in the Wall Street Journal today that described "self-efficacy". The article was titled "If at First You Don't Succeed, You're in Excellent Company". It detailed all of the famous people you've read about and their corresponding failures followed by magnificent successes.
One particular example was Thomas Edison and his eventual invention of the light bulb. After 1000 failures he finally found the right combination. Later, he described it not as 1000 failures, but merely 1000 steps. I guess that's why people with "self-efficacy" don't quit when others would...they just expect a series of steps to happen before they get the job done.
So, what does Thomas Edison have to do with "Self-efficacy"? As quoted in the WSJ, "What makes some people rebound from defeat while others throw in the towel?" Self-efficacy-the unshakable belief that they have what it takes to succeed...because they believe persistent effort will let them beat the odds". I asked Julie about this term and of course, getting her doctorate in "behavioral science", she instructed me that a guy named Al Bandura came up with this term and it is a major concept in the field of helping people change their behavior...who knew??
Suddenly, it occurred to me that I know of a group of these people and they ALL have the same last name-Lukens. Matter of fact, I married one of them and you've never seen a more determined bunch in your life. They are changing health care, where we will get our oil someday, they have built bridges and dams in places where they couldn't be built, built churches, and include several women who ran companies when it was thought only men could. Whatever the challenge, they have the stuff to do whatever needs to be done. And I warn you, do not try to stop them. They won't let you!
Wednesday, April 30, 2008
Self-efficacy & The Lukens Gene
Publicado por
Ted Meek
Saturday, April 26, 2008
Presidential Campaigning in Indiana?
Lo and behold, after 40 years of being ignored other than the occasional flyby for a fund raiser, there are real(sorry Ralph Nader) presidential candidates running around Indiana telling us how important we are.
Well, they're a little late. The last time the Indiana primary meant anything, I wasn't eligible to vote. Even if I had been, the best candidate at the time was Nixon?! Anyway, I was more worried about passing organic chemistry, avoiding the draft, and getting dumped by a girlfriend. I had my priorities.
Now, I'm more concerned with eating organic, avoiding drafty rooms, and staying regular.
## Attached: molecular data
# C30H62

The molecule C30H62 (wB97M-V/def2-TZVPD, OMol25).

Cartesian coordinates (Å):
1 C -6.595 -1.214 1.936
2 H -5.581 -0.839 2.046
3 H -6.878 -1.698 2.869
4 H -7.264 -0.372 1.772
5 C -6.686 -2.208 0.781
6 C -5.723 -3.374 1.003
7 H -5.998 -3.914 1.907
8 H -4.700 -3.030 1.114
9 H -5.765 -4.070 0.168
10 C -6.517 -1.531 -0.591
11 C -5.386 -0.511 -0.755
12 H -5.520 -0.044 -1.736
13 C -3.977 -1.099 -0.698
14 H -3.693 -1.293 0.337
15 H -3.975 -2.053 -1.230
16 C -2.911 -0.190 -1.327
17 C -2.801 1.129 -0.567
18 H -3.742 1.672 -0.599
19 H -2.037 1.767 -1.002
20 H -2.544 0.945 0.474
21 C -1.567 -0.929 -1.356
22 C -0.511 -0.273 -2.245
23 H -0.292 0.735 -1.887
24 H -0.908 -0.186 -3.258
25 C 0.783 -1.084 -2.253
26 H 1.100 -1.224 -1.218
27 H 0.588 -2.074 -2.672
28 C 1.924 -0.426 -3.038
29 C 1.665 -0.499 -4.542
30 H 1.624 -1.537 -4.868
31 H 0.725 -0.019 -4.801
32 H 2.461 0.000 -5.091
33 H 1.984 0.630 -2.748
34 C 3.267 -1.094 -2.706
35 C 3.835 -0.659 -1.356
36 C 5.108 -1.426 -0.998
37 C 5.726 -0.998 0.341
38 H 6.815 -1.006 0.245
39 H 5.439 0.035 0.548
40 C 5.384 -1.872 1.561
41 C 6.037 -3.249 1.444
42 H 5.893 -3.816 2.361
43 H 5.604 -3.819 0.625
44 H 7.106 -3.153 1.266
45 C 3.881 -2.029 1.815
46 C 3.189 -0.729 2.222
47 H 3.431 0.051 1.502
48 C 1.673 -0.902 2.302
49 H 1.312 -1.362 1.378
50 C 0.911 0.413 2.525
51 C -0.511 0.106 2.994
52 H -1.045 -0.458 2.231
53 H -0.492 -0.488 3.905
54 H -1.061 1.019 3.199
55 H 1.421 0.979 3.313
56 C 0.899 1.253 1.243
57 C 0.343 2.664 1.423
58 C 0.542 3.495 0.155
59 H 0.183 2.914 -0.699
60 H 1.609 3.675 0.001
61 C -0.197 4.837 0.171
62 C -0.106 5.496 -1.205
63 H -0.647 6.440 -1.214
64 H 0.933 5.695 -1.461
65 H -0.531 4.851 -1.971
66 C 0.360 5.777 1.236
67 H -0.149 6.738 1.196
68 H 0.225 5.364 2.232
69 H 1.423 5.946 1.073
70 H -1.254 4.645 0.393
71 H -0.723 2.621 1.650
72 H 0.848 3.143 2.264
73 H 0.312 0.731 0.486
74 H 1.919 1.340 0.865
75 H 1.444 -1.591 3.117
76 H 3.569 -0.405 3.194
77 H 3.406 -2.433 0.920
78 H 3.739 -2.764 2.611
79 H 5.820 -1.373 2.435
80 H 4.890 -2.494 -0.986
81 H 5.838 -1.259 -1.794
82 H 3.085 -0.811 -0.583
83 H 4.058 0.411 -1.393
84 H 3.135 -2.179 -2.715
85 H 3.992 -0.847 -3.485
86 H -1.733 -1.946 -1.721
87 H -1.184 -1.010 -0.335
88 H -3.208 0.025 -2.361
89 H -5.496 0.273 -0.007
90 H -7.450 -1.005 -0.812
91 H -6.401 -2.311 -1.348
92 H -7.700 -2.630 0.784

Atoms 1-2, force components in eV/Å:
C -0.171 -0.210 -0.196
H 0.148 0.101 0.040

Computed properties:
- Multiplicity: 1
- Energy relative to the best compared isomer or geometry (same formula, charge and spin): 5.22 kcal/mol
- LUMO energy: 0.90 eV

# C15H31CoIP2

A structure of composition C15H31CoIP2 (wB97M-V/def2-TZVPD, OMol25).

Cartesian coordinates (Å):
1 P -0.010 -2.313 -4.775
2 P 0.867 0.392 -4.980
3 C -0.055 -1.636 -6.495
4 C 1.144 -0.691 -6.513
5 H -1.034 -1.145 -6.595
6 H -0.003 -2.516 -7.133
7 H 2.096 -1.214 -6.320
8 H 1.223 -0.099 -7.435
9 C -0.373 1.476 -5.817
10 H -0.721 2.284 -5.164
11 H -1.243 0.901 -6.132
12 H 0.047 1.938 -6.711
I do have a new priority which is a comfortable retirement which brings me back to the candidates. They can make retirement difficult for a boomer. How? They promise you everything and deliver nothing. I don't believe Hilliary anymore, McCain will eventually do a 180 on his positions, and Obama keeps talking about "change" in Washington. I frankly believe the federal government cannot "change" while it is being controlled by hundreds of special interests.
So, what can I do? Vote. Hopefully, everyone will vote, because I can live with what the majority wants. That's what a democracy is suppose to be all about.
Publicado por
Ted Meek
1 comentarios
Tuesday, April 8, 2008
Bad Decisions by .....
Indiana University
*Hiring Mike Davis, Rick Greenspan, Kelvin Sampson, & Adam Herbert
*Firing Bobby too late & retiring Bill Mallory too soon
*Spending $100 million on new athletic facilities when they can't sellout their current venues
*Making me take German and Organic Chemistry
Eric Gordon
*Coming to IU to play basketball
*Leaving college early for the NBA
*Thinking he is ready for "the next level"
*Thinking he was ready for basketball in "The Big Ten"
Hilliary Clinton
*Marrying Bill Clinton (obviously)
*Thinking she would be a good President (obviously)
*Picking Evan Bayh as her running mate (Ha! Ha! Ha!-God, I hope not)
Bart Peterson
*Building Lucas Oil Stadium
*Building a $30 million library for $140 million
*Building a $1 billion airport terminal when the one we have is adequate
*Taking my vote for granted along with 54% of the taxpayers in Marion County
George H.W. Bush
*Thinking Barbara was cute
# Quantum chemistry results that have nothing to do with the piece
<<<
{"formula": "C60H60N12", "method": "the ωB97M-V functional and the def2-TZVPD basis", "lumo_ev": 0.60, "e_tot_ha": -2979.33553, "total_charge": 0, "homo_lumo_gap_ev": 9.95, "smiles": "c1ccncc1.c1ccncc1.c1ccncc1.c1ccncc1.c1ccncc1.c1ccncc1.c1ccncc1.c1ccncc1.c1ccncc1.c1ccncc1.c1ccncc1.c1ccncc1", "spin_multiplicity": 1, "e_above_lowest_kj_mol": 97.5, "max_force_ha_per_bohr": 0.0471, "symbols": ["N", "C", "C", "C", "C", "C", "H", "H", "H", "H", "H", "N", "C", "C", "C", "C", "C", "H", "H", "H", "H", "H", "N", "C", "C", "C", "C", "C", "H", "H", "H", "H", "H", "N", "C", "C", "C", "C", "C", "H", "H", "H", "H", "H", "N", "C", "C", "C", "C", "C", "H", "H", "H", "H", "H", "N", "C", "C", "C", "C", "C", "H", "H", "H", "H", "H", "N", "C", "C", "C", "C", "C", "H", "H", "H", "H", "H", "N", "C", "C", "C", "C", "C", "H", "H", "H", "H", "H", "N", "C", "C", "C", "C", "C", "H", "H", "H", "H", "H", "N", "C", "C", "C", "C", "C", "H", "H", "H", "H", "H", "N", "C", "C", "C", "C", "C", "H", "H", "H", "H", "H", "N", "C", "C", "C", "C", "C", "H", "H", "H", "H", "H"], "coordinates": [[-0.418472, -5.143760, -4.610419], [0.747044, -5.768872, -4.779994], [1.844020, -5.466496, -4.005949], [1.767687, -4.520195, -3.027193], [0.556966, -3.837862, -2.911485], [-0.513203, -4.165972, -3.729597], [0.833644, -6.505888, -5.560774], [2.791032, -5.980148, -4.139445], [2.609044, -4.297164, -2.353493], [0.510473, -3.050607, -2.178918], [-1.512040, -3.667655, -3.587534], [2.456406, 5.104768, 0.244276], [1.220799, 4.844137, 0.674983], [0.646739, 5.565607, 1.701562], [1.363384, 6.538196, 2.303743], [2.610579, 6.879483, 1.838188], [3.115004, 6.112536, 0.826025], [0.676903, 4.069423, 0.168711], [-0.323457, 5.331228, 2.110188], [0.969169, 7.024303, 3.192816], [3.199763, 7.680433, 2.272254], [4.134727, 6.272862, 0.476233], [-3.421899, 3.479530, 3.264384], [-4.194492, 3.629593, 4.314682], [-4.191236, 2.754836, 5.393274], [-3.429518, 1.633560, 5.329909], [-2.573718, 1.463431, 4.245372], [-2.644057, 2.359662, 3.225425], [-4.806732, 4.521036, 4.386485], [-4.881061, 2.896810, 6.204516], [-3.436889, 0.876651, 6.064890], [-1.885625, 0.624599, 4.231182], [-2.051670, 2.204678, 2.316156], [-0.072734, -1.054700, 4.664105], [0.945083, -0.772373, 3.830006], [1.434581, -1.657455, 2.872495], [0.769227, -2.834930, 2.678450], [-0.346033, -3.050582, 3.406855], [-0.717036, -2.178714, 4.388374], [1.400299, 0.187699, 3.934652], [2.264783, -1.301053, 2.287965], [1.143706, -3.514800, 1.925357], [-0.960793, -3.922619, 3.237528], [-1.541683, -2.391247, 5.077580], [-4.681345, -0.117823, 1.929321], [-5.454671, 0.073748, 2.979690], [-5.537038, -0.815584, 4.019833], [-4.849464, -1.976566, 3.961123], [-3.998773, -2.172479, 2.936445], [-3.961626, -1.220594, 1.932968], [-5.970827, 1.012440, 3.027388], [-6.229267, -0.646998, 4.822443], [-4.991847, -2.699635, 4.772364], [-3.466012, -3.110861, 2.803784], [-3.279572, -1.422803, 1.114142], [5.374125, -2.651119, -1.608363], [4.873848, -3.278974, -0.535587], [3.634610, -3.035496, 0.000527], [2.815447, -2.102813, -0.621933], [3.349661, -1.403308, -1.715226], [4.631378, -1.738983, -2.163110], [5.507576, -4.042052, -0.081763], [3.238740, -3.662537, 0.794752], [1.844888, -1.900388, -0.164663], [2.666716, -0.747623, -2.193279], [4.963978, -1.246867, -3.054788], [-4.621832, -0.099464, -2.834194], [-4.994713, 0.909144, -3.588630], [-5.020262, 2.222040, -3.224310], [-4.860963, 2.502794, -1.898345], [-4.552322, 1.451326, -1.037405], [-4.416136, 0.194404, -1.557027], [-5.176908, 0.629708, -4.621450], [-5.168490, 2.998043, -3.955773], [-4.850372, 3.508065, -1.551957], [-4.532853, 1.614633, 0.030275], [-4.113756, -0.565691, -0.834927], [-0.004525, -4.614197, 0.488465], [-1.248002, -4.138813, 0.349047], [-2.395680, -4.975834, 0.409552], [-2.226073, -6.314085, 0.579201], [-0.947368, -6.785803, 0.724810], [0.131612, -5.940416, 0.696959], [-1.336897, -3.073048, 0.288812], [-3.351009, -4.488803, 0.224218], [-3.060996, -7.003456, 0.641870], [-0.732831, -7.845674, 0.863469], [1.142712, -6.355253, 0.797371], [0.273735, 1.855240, -5.360386], [-0.825233, 2.154427, -4.652117], [-1.862069, 1.248385, -4.483863], [-1.774545, -0.023794, -5.005920], [-0.736586, -0.278406, -5.850912], [0.269956, 0.677732, -5.988127], [-0.795615, 3.118408, -4.123942], [-2.688662, 1.578391, -3.862668], [-2.483355, -0.787288, -4.730869], [-0.650092, -1.267856, -6.248290], [1.141785, 0.404343, -6.597204], [2.759276, 2.465618, 2.152125], [3.040023, 3.089206, 3.270352], [4.327728, 3.405779, 3.611146], [5.358793, 3.200616, 2.733161], [5.041311, 2.693286, 1.504097], [3.743371, 2.275130, 1.265870], [2.284146, 3.301318, 4.001389], [4.557972, 3.933853, 4.529458], [6.366345, 3.363652, 3.021593], [5.877778, 2.523375, 0.813809], [3.535550, 1.790699, 0.317265], [4.537272, 1.227223, -4.018633], [3.289255, 1.720699, -3.906832], [2.911092, 2.632031, -2.912563], [3.905799, 3.032460, -2.024800], [5.181188, 2.486228, -2.099518], [5.446113, 1.599228, -3.142682], [2.615840, 1.475189, -4.715139], [1.874787, 2.942408, -2.888930], [3.613809, 3.676811, -1.198050], [5.958542, 2.781316, -1.403039], [6.419589, 1.126492, -3.151954], [-1.507399, -0.652360, -0.150535], [-0.937648, 0.069874, 0.811089], [0.181553, 0.864667, 0.582776], [0.667073, 0.952240, -0.705701], [0.067711, 0.205350, -1.677890], [-1.051931, -0.570189, -1.390211], [-1.300359, -0.086946, 1.838215], [0.656955, 1.404662, 1.400620], [1.518520, 1.564715, -0.899675], [0.389703, 0.172538, -2.705558], [-1.430654, -1.241029, -2.106875]], "forces_ev_per_a": [[-0.5, -0.5, -1.1], [-0.3, 0.7, 0.3], [1.3, -0.9, -0.2], [-0.5, 0.9, 0.6], [0.6, 0.3, 0.4], [-0.4, 0.3, 0.9], [-0.3, -0.2, -0.1], [-0.2, -0.1, -0.2], [-0.5, -0.1, -0.5], [-0.3, 0.2, 0.2], [1.1, -0.5, -0.3], [-0.2, 0.0, 0.0], [0.5, 0.6, -0.3], [-1.0, -1.1, 0.1], [0.2, 1.4, 1.4], [0.3, 0.3, 0.3], [0.7, -0.6, -0.8], [-0.1, -0.4, -0.1], [-0.2, -0.2, -0.2], [-0.1, 0.1, -0.2], [-0.1, -0.1, 0.0], [-0.2, 0.0, -0.1], [0.5, -0.9, -0.8], [0.3, 0.4, 0.7], [-1.1, 0.0, 0.0], [1.0, -0.1, -0.6], [0.0, -0.7, 0.
>>>
# Here the piece continues
*Thinking Jeb was good name for a son
*Not giving a full set of chromosomes to George W. Bush
George W. Bush
*Running for Governor of Texas
*Running for President of the United States
*Not taking English as a second language at Yale
• Attached: records of molecules:
'''
A molecular structure, C47H32BiN10O2, computed with the ωB97M-V functional and the def2-TZVPD basis.

total charge	-1
DFT total energy	-2723.0918	Eh

CARTESIAN COORDINATES (ANGSTROEM)
H 5.410 -4.104 4.748
C 0.930 4.033 -2.698
N -0.073 -3.396 1.801
C 0.208 1.827 -1.912
C 3.182 -2.421 2.875
C 2.530 3.329 1.810
H 2.154 5.447 1.801
C 5.131 3.918 2.492
C -3.281 -2.450 0.591
H -0.038 4.798 -4.458
H 1.737 -1.736 -3.271
H 0.232 -0.042 -4.875
H 0.654 -3.696 -1.376
C -0.738 -0.320 -4.478
H 5.150 -1.919 3.579
H -6.019 4.304 1.860
C 2.885 4.663 1.960
N -1.256 1.400 0.978
C -3.296 2.395 1.338
C 2.869 -2.144 -1.467
H -5.252 -1.993 -0.158
Bi 0.376 0.132 -0.291
C -1.311 0.491 -3.503
H 6.148 4.175 2.762
H -3.930 0.737 -1.570
O 2.562 0.273 -1.082
N -3.255 1.093 -2.225
C 3.464 2.310 1.978
C -3.220 -0.990 -3.461
N 1.400 -1.497 1.735
C 0.055 3.967 -3.769
C -4.978 4.025 1.747
C -2.621 -1.801 -4.412
C -0.666 2.805 -3.971
C 4.364 -2.665 3.555
H -1.833 -5.530 0.718
C -1.379 -1.464 -4.941
H 3.776 -2.740 -1.523
H -1.309 2.710 -4.840
H 1.567 4.900 -2.560
H 2.315 -3.385 -3.155
H -0.920 -2.078 -5.705
N -3.236 -0.015 0.933
C -4.760 -4.090 -0.293
N 1.492 1.329 1.302
C 2.293 -4.594 3.488
C -2.589 0.179 -3.021
H 1.488 -5.318 3.464
N 0.130 3.321 1.423
C 2.643 -1.246 2.176
C -0.593 1.733 -3.073
C -2.313 3.382 1.457
C -2.649 4.705 1.718
H -5.709 -4.360 -0.743
H 5.483 1.782 2.489
C 1.888 -2.562 -2.575
C -2.334 -3.447 0.836
N 0.582 -2.895 -1.995
C 1.275 2.679 1.454
C -3.991 5.018 1.847
C 1.009 2.973 -1.808
H -1.873 5.457 1.806
H 1.769 3.011 -1.043
C -4.641 2.705 1.504
C -2.594 1.145 1.077
C 2.768 1.047 1.733
C -2.631 -1.190 0.998
H 4.519 5.976 2.390
C -4.507 -2.760 0.027
H -5.396 1.929 1.441
H -2.678 1.821 -1.831
C 2.164 -3.379 2.836
H 3.614 -5.776 4.698
H -4.035 -6.109 -0.319
C -3.809 -5.083 -0.054
C -1.038 2.713 1.261
C 4.773 2.588 2.345
H -4.290 6.043 2.033
O 4.349 -0.453 -2.200
C 3.479 -4.840 4.169
H -0.098 -3.105 -2.712
H -4.198 -1.246 -3.065
N -1.386 -1.425 1.455
C -2.579 -4.771 0.517
C 4.200 4.944 2.290
N 3.309 -0.095 2.095
H 2.403 -2.314 -0.495
C 4.501 -3.888 4.199
C -1.156 -2.753 1.389
H -3.135 -2.692 -4.752
C 3.304 -0.676 -1.596
C 1.058 -2.755 2.098

~~~~~

Entry 1:
Entry from OMol25: an isolated molecule of C5H13NO (the ωB97M-V functional and the def2-TZVPD basis).

Cartesian coordinates (Å):
C: -0.39475 1.18486 2.21789
C: -0.15960 1.31549 0.75375
N: 0.07181 0.08967 0.04023
C: 0.84232 -0.99851 0.72919
C: -0.08901 0.39569 -1.34756
C: 0.01576 -1.03039 -2.12919
O: -1.10393 -1.76662 -1.72279
H: 0.44600 0.59045 2.84803
H: -0.13780 2.22858 2.80791
H: -1.28877 0.63921 2.54000
H: -1.10809 1.81703 0.54822
H: 0.70772 2.13353 0.78800
H: 0.53877 -1.12387 1.75595
H: 2.00462 -0.84977 0.68524
H: 0.46928 -1.90286 0.31587
H: 0.57514 1.26325 -1.76099
H: -1.07885 0.78179 -1.76365
H: 0.12739 -0.81021 -3.13336
H: 0.87337 -1.55703 -1.77628
H: -1.31140 -2.40029 -2.39647

Cartesian forces (eV/Å) of the 2 atoms listed first:
3.3 0.1 5.1
1.4 1.5 2.1

- HOMO energy: -7.99 eV
- SMILES: CCN(C)CCO
'''
• End of the records of molecules:
But seriously, the only bad decision you can make is not making one.
Publicado por
Ted Meek
1 comentarios